The NY Post has a pice on him ….
Could the New York City born ex-Senator from Minnesota be thinks about joining NY Politics?
How about running against the junior Senator from the state that pushed him to quit the US Senate?
Al Franken for mayor?
The former “Saturday Night Live” mainstay and ex-Minnesota senator is a man about town again, spotted last weekend at a Fairway grocery in his old stomping grounds — the Upper West Side.
A tipster named Amy shared two photos of a masked Franken — outfitted in jeans, black-and-white flannel shirt and black jacket — with the West Side Rag. In one, he’s giving an elbow pump to a well-wisher; the other is a portrait.
The star of SNL’s “Stuart Smalley” skits didn’t offer his curious neighbors a daily affirmation of his political leanings, or respond to The Post’s multiple requests for comment.
Franken, who turns 70 in May, was surrounded by “a steady stream of politically passionate Upper West Side well-wishers,” Amy told the website.
She added that she didn’t ask the Democratic politician-turned-podcaster whether he was just visiting or sticking around in the city, “but it’s clear [he] would be warmly welcomed back.”
Franken was born in the city but moved with his family to Minnesota when he was 4. He returned as a young man, when his career as a comedian was booming, and lived in a few neighborhoods before buying a co-op at 90 Riverside Drive, which he sold in 2014.
He headed to Minneapolis in the mid-2000s to run for Congress. He served nine years in the Senate before stepping down in January 2018 after a string of women accused him of sexual misconduct. New York’s Kirsten Gillibrand was the first Democratic senatorto call on him to resign.…
image…West Side Rag
Attached: data records:
/*
No. 1
# Al2Fe3Si3O12

A relaxed Al2Fe3Si3O12 crystal (PBE with a Hubbard U, the Materials Project).

Cell: 10.103 10.103 10.103 Å, 109.47 109.47 109.47°
Fractional coordinates of all 80 atoms:
O1 0.814 0.514 0.395
O2 0.582 0.895 0.381
Si1 0.750 0.875 0.125
O3 0.800 0.881 0.986
Al1 0.000 0.500 0.000
O4 0.700 0.514 0.619
O5 0.186 0.486 0.605
Si2 0.750 0.375 0.625
Al2 0.500 0.000 0.000
O6 0.119 0.605 0.918
Fe1 0.250 0.875 0.625
O7 0.881 0.395 0.082
O8 0.619 0.418 0.105
O9 0.514 0.619 0.700
O10 0.395 0.082 0.881
Fe2 0.875 0.750 0.625
O11 0.105 0.986 0.686
Fe3 0.625 0.875 0.750
O12 0.986 0.800 0.881
O13 0.300 0.314 0.918
O14 0.014 0.314 0.895
O15 0.300 0.486 0.381
O16 0.918 0.300 0.314
Si3 0.125 0.750 0.875
O17 0.895 0.381 0.582
Si4 0.375 0.625 0.750
O18 0.486 0.605 0.186
Fe4 0.750 0.125 0.375
Si5 0.250 0.625 0.375
Si6 0.375 0.250 0.625
O19 0.619 0.700 0.514
Fe5 0.375 0.125 0.250
O20 0.418 0.105 0.619
O21 0.582 0.186 0.200
Fe6 0.125 0.375 0.750
Fe7 0.250 0.375 0.125
O22 0.918 0.119 0.605
O23 0.186 0.200 0.582
O24 0.605 0.918 0.119
O25 0.800 0.418 0.814
O26 0.814 0.800 0.418
O27 0.605 0.186 0.486
Al3 0.000 0.500 0.500
Al4 0.500 0.500 0.500
Si7 0.625 0.750 0.375
O28 0.881 0.986 0.800
Fe8 0.625 0.250 0.875
O29 0.200 0.119 0.014
O30 0.314 0.918 0.300
O31 0.082 0.700 0.686
O32 0.686 0.082 0.700
Al5 0.500 0.000 0.500
Fe9 0.375 0.750 0.125
Al6 0.500 0.500 0.000
Si8 0.125 0.875 0.250
O33 0.381 0.582 0.895
O34 0.986 0.686 0.105
Si9 0.625 0.375 0.250
O35 0.314 0.895 0.014
O36 0.700 0.686 0.082
O37 0.514 0.395 0.814
O38 0.119 0.014 0.200
O39 0.486 0.381 0.300
O40 0.082 0.881 0.395
Si10 0.875 0.125 0.750
O41 0.105 0.619 0.418
Fe10 0.875 0.625 0.250
O42 0.895 0.014 0.314
Al7 0.000 0.000 0.500
O43 0.418 0.814 0.800
O44 0.200 0.582 0.186
Si11 0.250 0.125 0.875
Fe11 0.750 0.625 0.875
Al8 0.000 0.000 0.000
O45 0.381 0.300 0.486
O46 0.395 0.814 0.514
Si12 0.875 0.250 0.125
O47 0.686 0.105 0.986
Fe12 0.125 0.250 0.375
O48 0.014 0.200 0.119

Calculated values
raw total energy = -7.462 eV/atom
total magnetization = 12.00 μB/f.u.
formation enthalpy at 0 K = -2.785 eV/atom


No. 2
# AlFe3Si3O12

A relaxed AlFe3Si3O12 crystal (PBE with a Hubbard U, the Materials Project).

Cell: 9.972 9.972 9.972 Å, 109.47 109.47 109.47°
Fractional coordinates of all 76 atoms:
Fe1 0.750 0.637 0.887
Fe2 0.863 0.613 0.250
Fe3 0.387 0.750 0.137
Fe4 0.750 0.137 0.387
Al1 0.000 0.000 0.500
O1 0.267 0.302 0.900
O2 0.899 0.021 0.317
Si1 0.625 0.750 0.375
Fe5 0.887 0.750 0.637
O3 0.233 0.133 0.035
Si2 0.250 0.125 0.875
O4 0.867 0.965 0.767
Si3 0.375 0.625 0.750
O5 0.402 0.802 0.535
O6 0.683 0.101 0.979
O7 0.122 0.601 0.918
O8 0.979 0.683 0.101
O9 0.965 0.767 0.867
O10 0.400 0.098 0.633
O11 0.796 0.418 0.817
Fe6 0.613 0.250 0.863
O12 0.878 0.399 0.082
Al2 0.500 0.500 0.500
O13 0.733 0.698 0.100
Si4 0.375 0.250 0.625
O14 0.100 0.733 0.698
O15 0.465 0.598 0.198
O16 0.479 0.378 0.296
O17 0.622 0.704 0.521
O18 0.902 0.367 0.600
Fe7 0.363 0.113 0.250
O19 0.133 0.035 0.233
Si5 0.125 0.750 0.875
*/
I recall a former Senator from Tennessee running for Senate from Maryland a few years back. And more recently Scott Brown ran for a New Hampshire Senate seat 2 years after being defeated for reelection to his Massachusetts seat. .
I can’t recall any former Senators who successfully returned to the chamber to represent a different state.
I doubt Franken will run for office in New York.
Yes, Al Franken who took an inappropriate photo with his hands levitating over a woman’s breasts as she slept wearing a Kevlar vest had to resign the Senate.
In fact, all of us were admonished for not demanding he resign immediately over accusations he acted inappropriately.
Ted Cruz and Josh Hawley helped to start an insurrection on television to overthrow our government and they’re still in office.
Great point Keith…..
This is one of the reasons I think Gellibrand is idiot…